~~~
The following is a quantum chemistry calculation of an isolated molecule of C3H6O3S at a distorted geometry, from the OMol25 dataset.

Geometry as XYZ:
```
13
Properties=species:S:1:pos:R:3:lowdin_charge:R:1
H -0.01 1.93 -1.15 0.045
H 0.28 -2.03 1.10 0.096
H -1.28 1.15 -1.98 0.086
C 1.12 -0.31 0.13 -0.303
H 1.93 -1.90 1.58 0.104
S -1.04 0.32 0.30 0.674
O 1.74 0.56 -0.38 0.095
C -1.06 1.64 -0.98 -0.139
C 1.27 -1.66 0.72 -0.037
H 1.80 -2.24 -0.05 0.101
O -1.36 0.94 1.57 -0.368
H -1.64 2.43 -0.65 0.025
O -1.75 -0.82 -0.21 -0.379
```

The highest occupied orbital energy comes out at -8.91 eV. The calculation puts the HOMO-LUMO gap at 9.135 eV. The value obtained for the energy above the lowest of the compared OMol25 structures with the same formula, charge and spin is 28.82 kcal per mole.

---

The following is a quantum chemistry calculation of a structure of composition C14H11I2NS6Ti at a distorted geometry, from the OMol25 dataset.

Geometry as XYZ:
```
35
Properties=species:S:1:pos:R:3:lowdin_charge:R:1
H 2.20 -0.53 -4.81 0.118
C 0.82 1.47 1.98 -0.878
C 4.42 -2.35 -2.23 -1.493
I 0.19 3.06 -1.07 0.307
H 1.14 0.75 2.73 -0.033
C -0.71 -1.55 -3.43 -0.006
I -1.08 2.22 2.64 0.788
C -2.58 -0.61 0.88 -0.216
C 1.40 -0.65 -4.10 -0.026
S 3.10 -2.98 -1.30 0.926
N 0.49 -0.12 -1.96 -0.054
C -3.50 -1.42 0.28 -0.394
C 3.95 2.27 -0.93 -0.382
C 3.56 -0.48 -0.65 -0.996
H 1.48 2.33 1.99 -0.056
C -1.47 -0.30 0.06 -0.336
S -3.04 -1.85 -1.31 1.066
H 3.50 2.22 -1.92 0.022
S 4.86 -0.73 -1.77 0.923
S 1.38 -1.49 0.66 0.645
H 5.03 2.16 -0.99 0.038
C -1.59 -0.92 -1.17 -0.528
H 2.26 0.67 -2.64 0.081
Ti 0.34 0.65 0.09 0.289
H -1.59 -2.16 -3.62 0.100
H -4.43 -1.79 0.68 0.071
C 2.74 -1.53 -0.41 -1.125
H 0.22 -1.99 -5.31 0.118
H 3.70 3.23 -0.48 0.038
S 3.26 1.03 0.19 0.842
C 1.44 0.01 -2.89 -0.142
S 5.23 -3.19 -3.38 0.557
C 0.29 -1.45 -4.37 -0.028
C -0.59 -0.87 -2.22 -0.288
H -2.71 -0.24 1.89 0.051
```

The highest occupied orbital energy comes out at -7.84 eV. The calculation puts the HOMO-LUMO gap at 6.604 eV. The value obtained for the energy above the lowest of the compared OMol25 structures with the same formula, charge and spin is 8.97 kcal per mole.

---

The following is a quantum chemistry calculation of a structure of composition C4H4Cl2 at a distorted geometry, from the OMol25 dataset.

Geometry as XYZ:
```
10
Properties=species:S:1:pos:R:3:lowdin_charge:R:1
H 0.38 1.20 -0.44 0.016
Cl 2.18 2.61 1.13 0.680
Cl 1.99 0.47 2.85 0.503
C 1.45 1.17 1.29 -1.306
H -1.82 0.07 -1.70 0.062
C -1.53 -0.91 -1.33 -0.108
H -2.17 -1.76 -1.83 0.108
H -0.36 -2.21 0.00 0.077
C -0.75 -1.22 -0.37 0.005
C 0.61 0.59 0.41 -0.036
```

The highest occupied orbital energy (alpha / beta) comes out at -9.29 / -9.29 eV. The calculation puts the HOMO-LUMO gap (alpha / beta) at 8.635 / 8.634 eV. The value obtained for the energy above the lowest of the compared OMol25 structures with the same formula, charge and spin is 111.39 kcal per mole.

---

The following is a quantum chemistry calculation of a structure of composition C10H17Cl2IrN at a distorted geometry, from the OMol25 dataset.

Geometry as XYZ:
```
31
Properties=species:S:1:pos:R:3:mulliken_spin:R:1
H -2.69 0.51 -2.49 0.027
C 1.26 -1.97 -2.54 0.652
H 2.94 -1.30 -1.43 0.000
H -0.21 -3.40 2.01 -0.002
C 0.78 0.40 -3.41 0.113
H -1.79 -1.06 -2.69 0.003
C -0.72 0.68 -3.35 0.023
H 0.45 -2.52 4.22 0.000
H -1.95 -3.34 2.44 -0.002
C -1.10 -1.52 2.03 0.014
H -0.78 -3.76 4.54 0.000
Ir -1.23 1.05 0.58 1.674
H 2.30 -0.98 -4.22 0.022
H 1.29 0.76 -2.51 -0.007
H -0.92 -0.98 -0.60 0.064
Cl -1.11 2.96 -0.74 0.108
H 0.45 -2.71 -2.52 -0.013
Cl 0.14 2.03 2.17 0.193
H 1.15 1.02 -4.25 -0.007
C -0.60 -2.78 4.08 0.003
H -0.84 1.77 -3.23 -0.016
N -1.36 -0.46 1.64 -0.023
H 1.88 -2.57 -0.59 0.025
C -0.97 -2.85 2.59 -0.001
C 2.12 -2.02 -1.52 1.148
H -1.13 0.45 -4.34 0.006
C 1.29 -1.06 -3.77 0.073
H 0.63 -1.45 -4.56 0.020
H -1.22 -2.04 4.60 0.000
C -1.61 -0.12 -0.83 0.880
C -1.73 -0.01 -2.35 0.024
```
~~~
Find "-0.05 0.101" and "-1.47 -0.30" in the lines further up, and set down these two lines and those between, please.
H 1.80 -2.24 -0.05 0.101
O -1.36 0.94 1.57 -0.368
H -1.64 2.43 -0.65 0.025
O -1.75 -0.82 -0.21 -0.379
```

The highest occupied orbital energy comes out at -8.91 eV. The calculation puts the HOMO-LUMO gap at 9.135 eV. The value obtained for the energy above the lowest of the compared OMol25 structures with the same formula, charge and spin is 28.82 kcal per mole.

---

The following is a quantum chemistry calculation of a structure of composition C14H11I2NS6Ti at a distorted geometry, from the OMol25 dataset.

Geometry as XYZ:
```
35
Properties=species:S:1:pos:R:3:lowdin_charge:R:1
H 2.20 -0.53 -4.81 0.118
C 0.82 1.47 1.98 -0.878
C 4.42 -2.35 -2.23 -1.493
I 0.19 3.06 -1.07 0.307
H 1.14 0.75 2.73 -0.033
C -0.71 -1.55 -3.43 -0.006
I -1.08 2.22 2.64 0.788
C -2.58 -0.61 0.88 -0.216
C 1.40 -0.65 -4.10 -0.026
S 3.10 -2.98 -1.30 0.926
N 0.49 -0.12 -1.96 -0.054
C -3.50 -1.42 0.28 -0.394
C 3.95 2.27 -0.93 -0.382
C 3.56 -0.48 -0.65 -0.996
H 1.48 2.33 1.99 -0.056
C -1.47 -0.30 0.06 -0.336